Does NAV Really Matter While Buying Mutual Funds?
Do you often get confused with the concept of NAV while transacting in mutual funds? You must need to know the worth of NAV and how you should consider it at the time of buying or selling your fund. Is it just like the stock price? Should you time the market using the NAV values? What are the implications of buying at high and selling at low or vice versa? These are some of the queries you might have in your mind. Here you will find the solutions for all of them.
Defining NAV (Net Asset Value)
It is quite important to understand the exact meaning of NAV. Just like in the case of stocks or shares, there is a price value, in the case of mutual funds, there is a net asset value which determines the unit price of the scheme. As we know that the mutual funds have assets under management, the price of their units is ascertained using the same. The NAV is computed by adding up all the asset values and deducting the liabilities.
The mathematical formula for NAV calculation is -
Net Asset Value (NAV)= Assets - Liabilities / Number of Outstanding Units in the Fund
The assets include the value of the securities like equity, debts, money market instruments, the accrual interest & dividend, and the liquid cash in the fund. On the flip side, the liabilities of the fund include the expenses like a commission or brokerage payable by the fund house, outstanding liabilities, and accrual expenses if any.
Role of NAV in Mutual Funds
The investors often get confused between the stock prices and the NAV of the schemes and believe that they are the same. This isn’t true! Stock prices are decided by the investors after analysing the fundamentals, management prospects, etc., of the companies due to which the book value and market value of shares differ. The NAV, on the other hand, is the value of the assets less liabilities of a fund. Stock prices form a small part of the NAV, but they cannot be used as synonyms for each other.
Attached: calculated crystals
- - -
Entry 1:
This record from the Alexandria database describes an optimized crystal structure of BeH3Br. The functional is GGA-PBE.

Summary:
Symmetry: Pm-3m, No. 221
Offset from the most stable computed form in meV per atom: 0

a b c (Å): 3.5334 3.5334 3.5334
angles (deg): 90.00 90.00 90.00
Last column: nearest neighbours and their distance in Å.
Element x y z (fractional)
H 0.0000 0.5000 0.0000  2 Be 1.77
H 0.5000 0.0000 0.0000  2 Be 1.77
Br 0.5000 0.5000 0.5000  12 H 2.50
H 0.0000 0.0000 0.5000  2 Be 1.77
Be 0.0000 0.0000 0.0000  6 H 1.77


Entry 2:
This record from the Alexandria database describes an optimized crystal structure of Sr3TaO. The functional is GGA-PBE.

Summary:
Symmetry: Pm-3m, No. 221
Offset from the most stable computed form in meV per atom: 0
Uncorrected formation energy in eV/atom: -0.331

a b c (Å): 5.2153 5.2153 5.2153
angles (deg): 90.00 90.00 90.00
Last column: nearest neighbours and their distance in Å.
Element x y z (fractional)
Sr 0.0000 0.5000 0.0000  2 O 2.61
Ta 0.5000 0.5000 0.5000  12 Sr 3.69
Sr 0.5000 0.0000 0.0000  2 O 2.61
O 0.0000 0.0000 0.0000  6 Sr 2.61
Sr 0.0000 0.0000 0.5000  2 O 2.61


Entry 3:
This record from the Alexandria database describes an optimized crystal structure of TaTi2Au2. The functional is GGA-PBE.

Summary:
Symmetry: P4/mbm, No. 127
Offset from the most stable computed form in meV per atom: 127
ΔH_f (0 K) in eV/atom: -0.097

a b c (Å): 7.5752 7.5752 3.0956
angles (deg): 90.00 90.00 90.00
Last column: nearest neighbours and their distance in Å.
Element x y z (fractional)
Ta 0.5000 0.5000 0.0000  4 Au 2.98, 2 Ta 3.10, 8 Ti 3.20
Ti 0.1730 0.6730 0.5000  6 Au 2.63-2.78
Au 0.6282 0.1282 0.0000  6 Ti 2.63-2.78, 1 Au 2.75
Au 0.3718 0.8718 0.0000  6 Ti 2.63-2.78, 1 Au 2.75
Ti 0.3270 0.1730 0.5000  6 Au 2.63-2.78
Ti 0.6730 0.8270 0.5000  6 Au 2.63-2.78
Au 0.8718 0.6282 0.0000  6 Ti 2.63-2.78, 1 Au 2.75
Au 0.1282 0.3718 0.0000  6 Ti 2.63-2.78, 1 Au 2.75
Ta 0.0000 0.0000 0.0000  4 Au 2.98, 2 Ta 3.10, 8 Ti 3.20
Ti 0.8270 0.3270 0.5000  6 Au 2.63-2.78


Entry 4:
This record from the Alexandria database describes an optimized crystal structure of Pm2Pr2Nd5. The functional is GGA-PBE.

Summary:
Symmetry: C2/m, No. 12
Offset from the most stable computed form in meV per atom: 0
ΔH_f (0 K) in eV/atom: 0.128

a b c (Å): 3.5594 10.0899 12.6194
angles (deg): 133.68 98.11 90.00
Last column: nearest neighbours and their distance in Å.
Element x y z (fractional)
Nd 0.0000 0.0000 0.0000  2 Pm 3.46, 4 Nd 3.56-3.62, 4 Pr 3.63
Nd 0.1764 0.4803 0.3528  7 Nd 3.56-3.85, 3 Pm 3.63-3.68, 2 Pr 3.82
Pr 0.4958 0.6792 0.9916  6 Nd 3.56-3.82, 3 Pr 3.56-3.77, 2 Pm 3.72
Nd 0.3298 0.1983 0.6596  3 Pm 3.54-3.59, 2 Pr 3.56-3.61, 6 Nd 3.56-3.79
Pr 0.5042 0.3208 0.0084  6 Nd 3.56-3.82, 3 Pr 3.56-3.77, 2 Pm 3.72
Pm 0.1631 0.0982 0.3262  7 Nd 3.46-3.68, 2 Pm 3.56, 2 Pr 3.72
Nd 0.8236 0.5197 0.6472  7 Nd 3.56-3.85, 3 Pm 3.63-3.68, 2 Pr 3.82
Nd 0.6702 0.8017 0.3404  3 Pm 3.54-3.59, 2 Pr 3.56-3.61, 6 Nd 3.56-3.79
- - -
The calculated crystals stop here
In the case of buying the individual stock, we often time the market and buy at low and sell the shares at higher values to earn profits. But timing the market using the NAVs of the scheme might not be a productive decision in many of the cases. The reason being is that, NAV has many other factors and parameters within, which may affect the timing decisions a lot.
NAV simply helps in allotment of the units of the specific fund which you have bought. A higher NAV depicts that either the fund is in the market for a long time, or it has fared very well. The opposite is also true.
Timing the Market in Mutual Funds
The most effective and important feature of mutual fund investing is the diversification which it provides to the investors. By allocating the total assets in different sectors, instruments, and companies, the mutual fund tends to reduce the risk exposure and helps in enhancing the chances of earning greater values. Furthermore, diversification is helpful in reducing the ill-effects of the market volatility which is helpful enough for gaining stability in the returns.
Accordingly, timing the market in the case of a mutual fund is a bad idea. The fund managers already have their own strategies and policies to rebalance the funds in different market scenarios and by buying or selling the schemes due to fluctuating market may lead to great losses. Instead, one must keep a watch on the objectives of the schemes as well as the activities of the fund manager to evaluate the efficiency of the fund and take adequate decision whenever one finds any discrepancies.
[Attached: crystal structures]
____________
Record 1
Material: Co2OsAu
Method: DFT, PBE-GGA
State: optimized geometry

The structure in POSCAR format:
```
Co2OsAu
1.0
4.5951 0.0036 -0.0054
-1.2995 4.4075 -0.0054
0.0031 0.0041 2.6703
Au Os Co
1 1 2
Direct
0.0000 0.5000 0.5000 Au
0.5000 0.0000 0.5000 Os
0.5000 0.5000 0.0000 Co
0.0000 0.0000 0.0000 Co
```

Theoretical density   15504 kg/m3
Energy of formation from the pure elements   1.46 eV/f.u.

---

Record 2
Material: Co2OsAu
Method: DFT, PBE-GGA
State: optimized geometry

The structure in POSCAR format:
```
Co2OsAu
1.0
-2.5367 -0.4122 0.7331
0.4659 -3.6659 -0.4494
1.5842 -0.4403 5.2342
Co Os Au
2 1 1
Direct
0.0000 0.0000 0.0199 Co
0.5000 0.5000 0.2613 Co
0.0000 0.0000 0.4551 Os
0.5000 0.5000 0.7637 Au
```

Theoretical density   15366 kg/m3
Energy of formation from the pure elements   1.54 eV/f.u.

---

Record 3
Material: Co2OsAu
Method: DFT, PBE-GGA
State: optimized geometry

The structure in POSCAR format:
```
Co2OsAu
1.0
-1.9325 0.7330 3.9860
-2.4758 -3.6579 0.8067
4.3295 0.2984 -1.1519
Co Os Au
2 1 1
Direct
0.5000 0.5000 0.0000 Co
0.0000 0.0000 0.0000 Co
0.2500 0.7500 0.5000 Os
0.7500 0.2500 0.5000 Au
```

Theoretical density   15832 kg/m3
Energy of formation from the pure elements   1.69 eV/f.u.

---

Record 4
Material: Co2OsAu
Method: DFT, PBE-GGA
State: optimized geometry

The structure in POSCAR format:
```
Co2OsAu
1.0
2.6560 -0.0116 0.0000
-1.2165 2.3610 0.0000
0.0000 0.0000 9.0683
Co Au Os
2 1 1
Direct
0.5000 0.5000 0.2385 Co
0.0000 0.0000 0.0242 Co
0.5000 0.5000 0.7640 Au
0.0000 0.0000 0.4732 Os
```

Theoretical density   14782 kg/m3
Energy of formation from the pure elements   1.90 eV/f.u.

---

Record 5
Material: Co2OsAu
Method: DFT, PBE-GGA
State: optimized geometry

The structure in POSCAR format:
```
Co2OsAu
1.0
4.6536 0.0023 -0.0016
3.8850 2.5618 -0.0016
0.8782 0.2637 4.5434
Os Co Au
1 2 1
Direct
0.4901 0.4901 0.5394 Os
0.7460 0.7460 0.7378 Co
0.0111 0.0111 0.9906 Co
0.2528 0.2528 0.2321 Au
```

Theoretical density   15494 kg/m3
Energy of formation from the pure elements   1.46 eV/f.u.

---

Record 6
Material: CoOs2Au
Method: DFT, PBE-GGA
State: optimized geometry

The structure in POSCAR format:
```
CoOs2Au
1.0
-0.1485 2.7404 -3.7994
-0.3570 0.1459 -4.6710
-4.7317 0.5158 -0.4037
Os Co Au
2 1 1
Direct
0.7435 0.7435 0.7906 Os
0.9986 0.9986 0.9869 Os
0.2561 0.2561 0.2388 Co
0.5018 0.5018 0.4837 Au
```

Theoretical density   18251 kg/m3
Energy of formation from the pure elements   1.74 eV/f.u.

---

Record 7
Material: CoOs2Au
Method: DFT, PBE-GGA
State: optimized geometry

The structure in POSCAR format:
```
CoOs2Au
1.0
-2.2679 1.4469 0.2454
0.0567 -1.9951 -1.8202
-3.1109 -5.9696 6.4466
Os Co Au
2 1 1
Direct
0.5000 0.5000 0.2326 Os
0.0000 0.0000 0.9912 Os
0.5000 0.5000 0.7635 Co
0.0000 0.0000 0.5127 Au
```

Theoretical density   17650 kg/m3
Energy of formation from the pure elements   2.29 eV/f.u.

---

Record 8
Material: Co2OsAu
Method: DFT, PBE-GGA
State: optimized geometry

The structure in POSCAR format:
```
Co2OsAu
1.0
____________
So now, we hope that your doubts regarding the NAV in mutual funds have cleared. If you need any other assistance or guidance for investing in mutual funds, then you must get associated with our team of advisors. We, at MySIPonline, are focussed towards providing the best solutions to the investors for their financial health.